
Filmmaker vows to make more 'Anti-Islam' films...

The man who produced the film, which is said to have led to the deadly protests in Libya and became the reason of death of the US Ambassador Chris Stevens, has gone into hiding, but remains unrepentant for releasing his film, says a report.

Sam Bacile, who wrote, directed and produced the two-hour film ‘Innocence of Muslims’, also reportedly called Islam ‘a cancer’ and vowed to release further films about the religion.

Bacile, who described himself as an Israeli Jew, is said to live in California where he works in real estate.

According to the Telegraph, he claimed the film cost 3.3 million dollars to make and was financed with the help of over 100 Jewish donors.

Imam at the centre of child bride scandal steps down after 'being caught agreeing to marry girl of 12'

A Muslim cleric at the centre of an illegal marriage scandal has stepped down after he allegedly offered to marry a 12-year-old girl to a man in his 20s.

Imam Mohamed Kassamali is said to have told an undercover reporter posing as a father that he could carry out a ceremony for his school-aged daughter.

He allegedly told the Sunday Times journalist: 'If it (the marriage) was not possible, I would have told you straight away... I would love the girl to go to her husband’s houses (sic) as soon as possible, the younger the better.


they're really hard to bring to reality, arent they? there's so many external factors that would cant help that comes and just turn your plans tupsy turvy.


and then you feel down in the dump - that expression is too nicely sounding to express how you feel when a dream doesnt happen. but whatever, cnt be bothered to think of something else...


so then u get this idea, whats the point of even having dreams if they might just get crushed like this?

or they might not.


There is goodness in correcting and being corrected.

Being offended when we are corrected, seriously reduces our chances of improving or achieving heights in any field.

We must always welcome those who correct us and show us where we are going wrong.

In most cases, those who regularly correct our ways and habits or errors in any field are those who truly care for us.

People who intentionally do not correct us are either insincere or fearful of our reaction due to being offended.

(Mufti Ismail Menk)

when i grow up i wanna be...

I wanna be - i think its called an inventor - but i dont think that job exists anymore.


anyway, i wanna invent recyclable pen, i wanna work into "green" discoveries and inventions. I wanna make "green" planes. but i think at some point down my "green" lane i'll have to give up on planes...too unenvironmentable unfortunately, or maybe not? maybe when i research into it, there will be a way to have green, environmental flights. maybe.


so back to planes, yeah. pens, markers etc... we just throw them in the bin and htey end up on landfills, pens are not recyclable and they are stuff we use EVERYDAY!


i wanna invent everyday materials that is recyclable, thhat decomposes when not needed anymore. e.g: hairbrushes, HEY! what abt toothbrushes!?

I will be doing Bungee Jump for The Revival!!

Next to the page, the page also holds records of crystals >
Entry 1:
Density functional theory data (PBE) for a relaxed AlReW2 crystal.

a b c (Å): 3.8358 3.8358 8.4077
angles (deg): 90.00 90.00 90.00
Space group I4/mmm (No. 139)
One atom of each set of equivalent atoms:
Al  0.0000  0.0000  0.0000 x2
Re  0.0000  0.0000  0.5000 x2
W  0.0000  0.5000  0.2500 x4

Calculated values
- ΔH_f (0 K): 121 meV/atom
- Spin magnetization: 0.0 μB/f.u.
- Raw total energy: -0.7646 Ry per atom

Entry 2:
Density functional theory data (PBE) for a relaxed AlReW2 crystal.

a b c (Å): 3.1721 4.3831 4.4188
angles (deg): 90.00 90.00 90.00
Space group Pmmm (No. 47)
One atom of each set of equivalent atoms:
Al  0.0000  0.0000  0.0000 x1
Re  0.5000  0.5000  0.0000 x1
W  0.0000  0.5000  0.5000 x1
W  0.5000  0.0000  0.5000 x1

Calculated values
- ΔH_f (0 K): 49 meV/atom
- Spin magnetization: 0.0 μB/f.u.
- Raw total energy: -0.7699 Ry per atom

Entry 3:
Density functional theory data (PBE) for a relaxed AlReW2 crystal.

a b c (Å): 2.8352 2.8352 27.0898
angles (deg): 90.00 90.00 120.00
Space group R-3m (No. 166, hexagonal axes)
One atom of each set of equivalent atoms:
Al  0.0000  0.0000  0.0000 x3
Re  0.0000  0.0000  0.5000 x3
W  0.0000  0.0000  0.2491 x6

Calculated values
- ΔH_f (0 K): 158 meV/atom
- Spin magnetization: 0.0 μB/f.u.
- Raw total energy: -0.7619 Ry per atom

----------

# Cs2CeAgBr6 GGA-PBE relaxed
# V = 1548.4 Å³ per cell
# energy relative to the elements, uncorrected = -1.538 eV per atom
data_Cs2CeAgBr6
_symmetry_space_group_name_H-M 'F m -3 m'
_symmetry_Int_Tables_number 225
_symmetry_space_group_name_Hall '-F 4 2 3'
_cell_length_a 11.569
_cell_length_b 11.569
_cell_length_c 11.569
_cell_angle_alpha 90.00
_cell_angle_beta 90.00
_cell_angle_gamma 90.00
loop_
_atom_site_label
_atom_site_type_symbol
_atom_site_fract_x
_atom_site_fract_y
_atom_site_fract_z
Cs1 Cs 0.250 0.250 0.250
Ce1 Ce 0.000 0.000 0.000
Ag1 Ag 0.000 0.000 0.500
Br1 Br 0.000 0.000 0.251

***

# Cs3CeAg2Br9 GGA-PBE relaxed
# V = 559.2 Å³ per cell
# energy relative to the elements, uncorrected = -1.364 eV per atom
data_Cs3CeAg2Br9
_symmetry_space_group_name_H-M 'P -3 m 1'
_symmetry_Int_Tables_number 164
_symmetry_space_group_name_Hall '-P 3 2"'
_cell_length_a 8.0507
_cell_length_b 8.0507
_cell_length_c 9.9620
_cell_angle_alpha 90.00
_cell_angle_beta 90.00
_cell_angle_gamma 120.00
loop_
_atom_site_label
_atom_site_type_symbol
_atom_site_fract_x
_atom_site_fract_y
_atom_site_fract_z
Cs1 Cs 0.0000 0.0000 0.0000
Cs2 Cs 0.3333 0.6667 0.7054
Ce1 Ce 0.0000 0.0000 0.5000
Ag1 Ag 0.3333 0.6667 0.1468
Br1 Br 0.0000 0.5000 0.0000
Br2 Br 0.1658 0.3315 0.3376

***

no.,electronic total energy (eV per atom)
1,-3.591
2,-3.314


The things I do to raise money for The Revival!

First the Great Manchestrert Run and now this:-)

I will be taking part in the Bungee Jump on 27th October

It would be great if you could all sponsor me.

To sponsor me send email to or send me a PM


Sajid Iqbal

Editor, The Revival

There is a difference between questioning & asking Qs

Although Islam recommends us to ask questions and clarify what we are unsure of, I think sometimes, it is possible to go too far with the questions. It's no longer asking questions, but questioning the reasoning, logicalness of something - it is easy to go from trying to clarify our own understanding to trying to make Islam make sense based on our understanding.

Wait, does that make sense?

It's a bit like the difference between"Is it compulsary to pray five times a day?" and "why do we need to pray 5x? once should be enough". 

That's not a great example but I think you'll get what I mean.

I think, this problem mostly arises when there is a lack of Islamic knowledge. 

Roar! You might have a lion near you :O

One man + One woman heard a loud roar, took their binoculars out and saw with their very own eyes, a lion! But they changed their mind and called it a BIG CAT instead. How boring!! This animal was listening to them and glared at the couple with its big eyes. Its not from the zoo. Its not from the recent circus. Its not been reported to be missing.

All this hoo-haa which is a rarity in Britain, drafted in armed police, one helicopter hovering over the area in which this LION was spotted and another helicopter using a thermal imaging camera to try to detect any trace of an animal. Residents are now advised to stay indoors. Such drama queens and scaredy-cats!! They need to live in the wild for a day...
